Thursday, December 31, 2015

Happy New Year 2016!



Akhirnya dunia memasuki tahun 2016! Tahun ini sudah ada banyak hal yang dinantikan. Semoga tahun ini pun banyak hal baik dan menyenangkan yang bisa dialami. Dan yang pasti semoga tahun ini bisa lulus kuliah!

Finally the world enters Year 2016~ This year there are many things that has been expected. I hope this year there will be good and fun things to be experienced. And this year I can graduate from college!

Sunday, December 27, 2015

Blok M Plaza Matsuri

Hari Minggu kemarin ikut pentas Odori di acara Blok M Plaza Matsuri!

Yesterday I participated in Odori performance in Blok M Plaza Matsuri event!

Acaranya lebih ramai daripada tahun lalu. Karena udah lama nggak ikut latihan Odori jadi deg-degan, tapi syukurlah semuanya berakhir dengan baik. Sebenarnya udah bawa yukata sendiri, tapi Ai-sensei suruh pakai yukata yang beliau bawa. Kawaii yukata~ (^w^)

The event was more crowded than last year. I was nervous because I hadn't practice for a long time, but I'm glad everything ended well. Actually, I already brought my own yukata, but Ai-sensei told me to wear the yukata that she had brought. Such a cute yukata~ (^w^)

Record 1
VASP calculation (GGA+U) on a geometry-optimized MgFe12O12F12 structure.

Cell: 9.8654 3.1180 14.4623 Å, 90.00 90.66 90.00°
Sites, in units of the cell vectors:
Mg: 0.0000 0.0000 0.0000
Fe: 0.0347 0.5000 0.6056
Fe: 0.0641 0.5000 0.3226
Fe: 0.0771 0.5000 0.8085
Fe: 0.3194 0.0000 0.4572
Fe: 0.3336 0.0000 0.1260
Fe: 0.3719 0.0000 0.8005
Fe: 0.5238 0.5000 0.2984
Fe: 0.5543 0.5000 0.9697
Fe: 0.5656 0.5000 0.5931
Fe: 0.7998 0.0000 0.1553
Fe: 0.8121 0.0000 0.4539
Fe: 0.8194 0.0000 0.7773
O: 0.1572 0.0000 0.3679
O: 0.2707 0.5000 0.8378
O: 0.4009 0.5000 0.3996
O: 0.4252 0.5000 0.0646
O: 0.4568 0.0000 0.2312
O: 0.4597 0.0000 0.5594
O: 0.5066 0.0000 0.8976
O: 0.7175 0.5000 0.5148
O: 0.8945 0.5000 0.3817
O: 0.9103 0.5000 0.7168
O: 0.9670 0.0000 0.5465
O: 0.9717 0.0000 0.8700
F: 0.1437 0.0000 0.6904
F: 0.1817 0.0000 0.0332
F: 0.2146 0.5000 0.5337
F: 0.2232 0.5000 0.1875
F: 0.4543 0.5000 0.7223
F: 0.6433 0.0000 0.3555
F: 0.6670 0.0000 0.6842
F: 0.6843 0.0000 0.0329
F: 0.6964 0.5000 0.2053
F: 0.7303 0.5000 0.8504
F: 0.9177 0.5000 0.0604
F: 0.9769 0.0000 0.2225

Space group: No. 6

Record 2
VASP calculation (GGA+U) on a geometry-optimized MgFe6O11F structure.

Cell: 2.9196 7.4281 10.7246 Å, 108.61 90.00 90.02°
Sites, in units of the cell vectors:
Mg: 0.0000 0.0000 0.0000
Fe: 0.0031 0.1803 0.8154
Fe: 0.0030 0.8190 0.1846
Fe: 0.0074 0.4782 0.4999
Fe: 0.5032 0.3848 0.1829
Fe: 0.5034 0.6141 0.8175
Fe: 0.5066 0.0397 0.4993
O: 0.0024 0.7105 0.9398
O: 0.0026 0.2899 0.0605
O: 0.0042 0.3995 0.3026
O: 0.0047 0.5913 0.6971
O: 0.0063 0.0600 0.6218
O: 0.0061 0.9487 0.3766
O: 0.5014 0.0253 0.8643
O: 0.5009 0.9731 0.1346
O: 0.5036 0.3541 0.8213
O: 0.5037 0.6461 0.1820
O: 0.5072 0.3064 0.5002
F: 0.5074 0.6668 0.4988

Space group: No. 1

Record 3
VASP calculation (GGA+U) on a geometry-optimized MgFe6O8F4 structure.

Cell: 4.8351 4.8593 8.8916 Å, 90.11 90.13 92.01°
Sites, in units of the cell vectors:
Mg: 0.0000 0.0000 0.0000
Fe: 0.0121 0.4578 0.2055
Fe: 0.4606 0.9815 0.6921
Fe: 0.4741 0.0163 0.3555
Fe: 0.5096 0.0662 0.0051
Fe: 0.9399 0.5735 0.5111
Fe: 0.9927 0.5069 0.8412
O: 0.1712 0.6887 0.6854
O: 0.1828 0.7043 0.3456
O: 0.2663 0.1801 0.8515
O: 0.2762 0.1641 0.1670
O: 0.6554 0.8361 0.5257
O: 0.6994 0.8527 0.8570
O: 0.7649 0.3212 0.3529
O: 0.8037 0.3497 0.0125
F: 0.2215 0.6821 0.0101
F: 0.2657 0.1843 0.5255
F: 0.7251 0.8621 0.1626
F: 0.7612 0.3282 0.6840

Space group: No. 1

Record 4
VASP calculation (GGA+U) on a geometry-optimized MgFe6O7F5 structure.

Cell: 5.7824 5.9695 7.6989 Å, 108.00 97.68 111.77°
Sites, in units of the cell vectors:
Mg: 0.0000 0.0000 0.0000
Fe: 0.0086 0.5117 0.0272
Fe: 0.0305 0.9320 0.4881
Fe: 0.3829 0.5618 0.3490
Fe: 0.3855 0.9598 0.8144
Fe: 0.6156 0.0721 0.2212
Fe: 0.6860 0.4621 0.6588
O: 0.1200 0.6816 0.3232
O: 0.2793 0.8671 0.0301
O: 0.3892 0.1635 0.6605
O: 0.5953 0.3710 0.3893
O: 0.6749 0.8640 0.3583
O: 0.7335 0.1460 0.0037
O: 0.9879 0.8243 0.7086
F: 0.0655 0.1749 0.3029
F: 0.2834 0.3535 0.0612
F: 0.4398 0.6665 0.6405

Karena berdekatan sama natal, di akhir acara ada "salju" yang turun ke panggung dari atas. Dari kelihatannya bagus, tapi jujur aja kalo kena "salju"-nya nggak akan begitu suka, deh. Soalnya "salju"-nya itu sebenarnya busa deterjen jadi lengket pas kena (_ _lll)

Since it was near Christmas, at the end of the event there're "snow" fell onto the stage from above. From the look it was fine, but to be honest if you touched the "snow" you won't like it very much. Because the "snow" was actually a detergent bubble, so it got sticky if you're touched (_ _lll)

Tapi overall tetap seru! Tgl 2 Januari nanti juga mau ada pentas Odori lagi :D

But overall it's still fun! At January 2nd there will be another Odori performance :D

Monday, December 21, 2015

Selamat Hari Ibu ~ Happy Mother's Day ~

Hari ini tgl 22 Desember, berarti...

Today is December 22nd, which means...



Ibu, terima kasih atas semua cinta dan kasih sayang yang sudah Ibu berikan selama ini! Aku pokoknya akan selalu sayang deh, dari sekarang dan seterusnya!

Mother, thank you for all the love and care you've given to me for all this time! I will always love you, from now on and forever!

Khusus untuk hari ini, dua minggu yang lalu aku nyari hadiah di Bintaro Plaza. Bingung enaknya beli hadiah apa buat Hari Ibu (lagi hemat duit juga soalnya, hehehe (^_^;) ). Jadi pas nanya mba-nya, rekomendasinya photo frame ini. Mungkin memang kekanak-kanakan, tapi photo frame yg lain kemahalan, jadi beli yang ini, deh. Kalo cuma photo frame-nya aja terlalu biasa, jadi aku buat gambar dari beberapa kumpulan foto aku sama Ibu trus kumasukin ke photo frame-nya. Photo frame-nya kubungkus trus kusimpan dalam tas Ibu biar jadi kejutan :D

Specially for today, two weeks ago I was looking for a present at Bintaro Plaza. I'm confused what kind of present I should buy for Mother's Day (I'm also saving my money, hehehe (^_^;) ). So when I asked the shopkeeper, she recommended this photo frame. Maybe it's childish, but the other photo frames were too expensive, so I bought this one. Just the photo frame would be too plain, so I made a picture from photos of me and Mom then I put it inside the photo frame. I wrapped the photo frame and then I put it inside Mom's bag so it will be a surprise :D

Friday, December 11, 2015

First Entry!

Halo, semuanya~

Prasti di sini! Akhirnya aku jadi juga ngebuat blog pertama. Dari dulu sebenernya kepikiran pingin bikin blog, tapi kelupaan melulu hehehe... XD

Di blog ini aku akan posting segala kegiatan yang berhubungan dengan grup Odori Ai Project dan Misora Dancer, grup yang belajar tarian Jepang dibawah bimbingan Ai Hasuda-sensei, dan fanfiction yang kutulis sendiri. Tapi sebelum upload banyak entry aku harus edit desain blog-nya supaya jadi lebih bagus. Yosha!

Dan blog ini sengaja kubuat bilingual supaya orang asing yang gk bisa bahasa Indonesia juga bisa baca blog ini.

Hello, everyone~

Prasti is here! Finally I made my first blog. I had wanted to make my own blog since long time ago, but I always forgot hehehe...XD

In this blog I will post every activities related to group of Odori Project Ai and Misora Dancer, a group that studies Japanese dance under Ai Hasuda-sensei's guidance, and fan fictions that I wrote myself. But before uploading many entries I must edit the blog design first to make it better. Alright!

And I purposely writes this blog bilingually so that foreigners who doesn't understand Indonesia can also read this blog.